
Tuesday, October 5, 2021

A Naturally Better Lawn

Even though Abundant Design takes out way more turfgrass than we put in, a lush piece of lawn is nice for many reasons.  

A lush green yard has some traditional appeal and is a resilient ground cover for sunny play areas.  It can indicate outdoor 'rooms' or transition zones from one area to another.  It can make a traffic resistant path through more open food forests.  Turf roots can hold soil in place on sloped yards if it can get established and water flow is not concentrated.  Lawn and turfgrass is often required for at least a percentage of the front yard in many residential neighborhoods, whether through an HOA or city zoning ordinance. 

So how do we keep lawns healthy, for the grass, but also for our pets, environment and ourselves?

I have the pleasure of knowing Jennifer Miller and Cody Killgore of Clarion Sage Farm in Waukee.  If you have ever been to one of our Seed Exchanges there is a good chance you've met them.  Cody had previously worked in the turf care industry for 13 years and has some suggestions which make up a great portion of this article.
"Here is what I recommend:  If you want what most people call a lawn, or cultured turf, in the midwest, grow one that is primarily turf type tall fescue, not bluegrass. Problem is, almost all homes are started with bluegrass turf, or have been cultured to it by prior owners. To convert it quickly you have to grind it up with a verticutter and reseed it with TTTF. Option two is to aerate the lawn heavily and then overseed it with TTTF, every spring and fall . Over a couple of years it will convert, or at least it will be more TTTF than bluegrass.
TTTF is more drought resistant and will hold it's color better in the summer and with less water. It is also better under foot traffic, aka kids playing on the lawn."

We've seen before how shallow Bluegrass roots are, especially when comparing it to native plants.

Whether or not you do the grass type conversion or not, Kilgore has other suggestions and tips-

1. Never take your mower off the highest setting  Tall turf shades the soil and inhibits weed germination, and preserves soil moisture. Turf that is 3" or taller is better, and a lot of mowers don't even get to that on their highest setting.

 MYTH: "If I mow short, it will be longer until I have to mow again."

Misplaced records of crystals.
Entry 1:
CaLaFeSbO6: theoretical powder XRD pattern (copper Kα), based on the PBE+U geometry in the Materials Project.

Peak list (10 most intense, 2θ = 10–90°, low angle first)
2θ (°), I/Imax
19.0, 42
19.3, 25
31.2, 95
31.4, 100
31.6, 48
31.9, 45
44.7, 29
44.9, 25
55.5, 25
56.2, 24

```
data_CaLaFeSbO6
_symmetry_space_group_name_H-M 'P 1'
_symmetry_Int_Tables_number 1
_symmetry_space_group_name_Hall 'P 1'
_cell_length_a 7.9743
_cell_length_b 8.0708
_cell_length_c 8.1021
_cell_angle_alpha 90.22
_cell_angle_beta 90.37
_cell_angle_gamma 91.11
loop_
_atom_site_label
_atom_site_type_symbol
_atom_site_fract_x
_atom_site_fract_y
_atom_site_fract_z
Ca1 Ca 0.0000 0.0000 0.0000
Ca2 Ca 0.0528 0.4499 0.4998
Ca3 Ca 0.4980 0.4984 0.9982
Ca4 Ca 0.5559 0.9474 0.5003
La1 La 0.0141 0.5125 0.9938
La2 La 0.0671 0.9655 0.4956
La3 La 0.5176 0.0089 0.9941
La4 La 0.5661 0.4651 0.4936
Fe1 Fe 0.2847 0.2324 0.7466
Fe2 Fe 0.2849 0.7312 0.2488
Fe3 Fe 0.7851 0.2323 0.2473
Fe4 Fe 0.7850 0.7320 0.7487
Sb1 Sb 0.2836 0.2328 0.2456
Sb2 Sb 0.2856 0.7303 0.7460
Sb3 Sb 0.7839 0.7333 0.2463
Sb4 Sb 0.7854 0.2301 0.7456
O1 O 0.0273 0.7773 0.1934
O2 O 0.0289 0.1891 0.6922
O3 O 0.0389 0.1903 0.2960
O4 O 0.0437 0.7819 0.8011
O5 O 0.2160 0.6962 0.5090
O6 O 0.2392 0.4907 0.7967
O7 O 0.2398 0.4726 0.1908
O8 O 0.2493 0.1635 0.0089
O9 O 0.3143 0.2995 0.4837
O10 O 0.3316 0.9929 0.3031
O11 O 0.3340 0.9707 0.6956
O12 O 0.3521 0.7603 0.9849
O13 O 0.5278 0.6834 0.6934
O14 O 0.5291 0.2779 0.1964
O15 O 0.5411 0.6915 0.2995
O16 O 0.5419 0.2754 0.8016
O17 O 0.7177 0.1945 0.5086
O18 O 0.7405 0.9712 0.1891
O19 O 0.7450 0.9896 0.7975
O20 O 0.7464 0.6629 0.0094
O21 O 0.8165 0.8008 0.4850
O22 O 0.8287 0.4718 0.6951
O23 O 0.8314 0.4954 0.3055
O24 O 0.8503 0.2625 0.9841
```



Entry 2:
VAg3O4: theoretical powder XRD pattern (copper Kα), based on the PBE+U geometry in the Materials Project.

Peak list (10 most intense, 2θ = 10–90°, low angle first)
2θ (°), I/Imax
30.7, 100
35.4, 24
36.1, 11
51.0, 13
51.5, 26
60.7, 25
61.6, 12
64.0, 9
83.1, 5
83.9, 11

```
data_VAg3O4
_symmetry_space_group_name_H-M 'P 1'
_symmetry_Int_Tables_number 1
_symmetry_space_group_name_Hall 'P 1'
_cell_length_a 6.1337
_cell_length_b 6.1337
_cell_length_c 6.1337
_cell_angle_alpha 131.19
_cell_angle_beta 131.19
_cell_angle_gamma 71.52
loop_
_atom_site_label
_atom_site_type_symbol
_atom_site_fract_x
_atom_site_fract_y
_atom_site_fract_z
V1 V 0.0000 0.0000 0.0000
Ag1 Ag 0.2500 0.7500 0.5000
Ag2 Ag 0.5000 0.5000 0.0000
Ag3 Ag 0.7500 0.2500 0.5000
O1 O 0.0990 0.0990 0.4018
O2 O 0.3029 0.9010 0.0000
O3 O 0.6971 0.6971 0.5982
O4 O 0.9010 0.3029 0.0000
```



Entry 3:
LiVBO3: theoretical powder XRD pattern (copper Kα), based on the PBE+U geometry in the Materials Project.

Peak list (10 most intense, 2θ = 10–90°, low angle first)
2θ (°), I/Imax
21.2, 57
21.9, 100
22.1, 27
32.5, 83
37.3, 18
39.1, 44
39.5, 53
42.8, 21
47.5, 24
53.5, 15

```
data_LiVBO3
_symmetry_space_group_name_H-M 'P 1'
_symmetry_Int_Tables_number 1

2. Fall aeration and overseeding  Take whatever money you are spending on fertilizer and weed control and spend that instead on seeding, overseeding, or aerating every fall, and on watering if you must. The best kept secret to weed control is that weeds don't invade thick turf. Spend any money you were planning to, or have, on keeping the turf thick instead. Annual fall aeration and overseeding is the best.

Learn more about Soil Quality Restoration which adds compost in the mix

3. Cut regularly  Never let your grass grow tall enough that you are cutting more than 1/3 of the height. When that happens it stresses the plant and actually pulls on the root systems of the plant, which is bad.

Maybe now is the time to consider a Robotic Auto Mower?

4. Keep your mower blade sharp  Sharpen it once a year in the spring. A dull blade shreds the top of the leaf blade and that injury is where disease most often enters the plant.


5. Water wisely  If you don't want summer color or the watering expense, let your lawn go dormant in the summer. Watering too little does more harm than good. It will come back with the fall rains and cooler temps. But once you see it start to turn straw colored, just let it be.

If you do choose to water your lawn, water it in the early morning hours, like before 7am. This gives it time to soak into the soil instead of evaporating off the grass. Use a sprinkler that disperses large droplets. Large droplets are more apt to fall into the soil line and will not evaporate as much during delivery. Do not water at night, or right before dark. It's the fastest way to promote disease. Also, water deeply instead of often. When I kept a lawn I would water each area for an hour and a half once a week in the spring, and once every four days in the summer. This will put water deeper in the soil. It will be less apt to evaporate off the soil line, leach deeper into the soil, and that promotes deeper root development, which also helps promote thicker turf.

"Even though I was managing a large lawn care business at the time, I stopped applying herbicides, fungicides, or insecticides on my lawn. I put all my efforts into keeping it thick, and that, along with the practices I offered above kept it in deep color and good health. The neighbors couldn't even come close to competing with me, which meant I was the King of the Typical Suburban Male Neighborhood."  says Cody. 

Using these tips, maybe you can be the "Lawn King of the Neighborhood" and then share your tips and tricks to help grow a greener lawn naturally with your neighbors.

The infographic to the right highlights some of the negative health effects of pesticide use.  You can learn more at

You can also read about a more natural, gentler homebrew weed killer that I use at our house here - 

Have a great Fall!

Soil Quality Restoration

Soil Quality Restorations (SQR) improve your soil for a healthier, greener lawn by incorporating organic matter.  Organic matter improves the tilth of clay soil and water holding capacity of sandier soils.

SQR is also a stormwater management best practice that helps infiltrate stormwater and may qualify for cost share funding.  Although I prefer rain gardens and other practices with more pollinator habitat and visual appeal, the SQR is the best "Bang for the Buck" with regards to pure stormwater infiltration.

SQRs can be performed in both the Spring or Fall, avoiding the summer heat where sunshine can heat up the dark compost cooking any seed and the grass below.

Fall applications can give better grass seed results and if any compost remains, it will be covered by snow and worked into the soil by freeze/thaw action.

SQRs start with a deep tine aeration, 4-6" is best!  This eXmark unit is great for going deep, especially compared to most walk behind rental units that usually go about 2" deep.

Aeration is generally followed by a light overseeding of turf grass seed.  You can also target thin spots in the yard with a little extra seed.  Be aware that some cities won't cover seeding if you are applying for cost share.

After aeration (and seeding) a layer of compost is applied.  Evenly spread compost at a depth of 1/2" to 3/4" is recommended.  You may use a wheel barrow and rake if you want to do it yourself, or bigger contractors may use a blower like in the video further below.
Side by side comparison after compost application
with my Dingo and evening it out with a rake

You can read more about Soil Quality Restorations and see if you qualify for funding at the Rain

I hope you are enjoying this beautiful Fall weather!!!